Contents:
6 unconnected molecules or ions with the total composition C24H39ClFO13P. Source: OMol25; level of theory: ωB97M-V/def2-TZVPD.

Summary:
SMILES string: CO[C@@H](COCF)P(O)Cl.O=C1CCCO1.O=C1CCCO1.O=C1CCCO1.O=C1CCCO1.O=C1CCCO1
E_LUMO in eV: 0.311
Calculated total energy in a.u.: -2817.37745
Orbital gap in eV: 9.30

Atoms and positions in Å:
C: 4.250 6.864 -2.444
O: 3.789 5.471 -2.545
C: 4.560 4.698 -3.536
C: 6.095 4.507 -2.963
O: 5.964 4.307 -1.493
C: 6.350 2.935 -1.114
F: 6.006 2.666 0.331
P: 3.655 2.976 -3.657
O: 4.110 2.140 -5.129
Cl: 1.567 3.544 -3.714
H: 3.339 7.510 -2.036
H: 4.629 7.337 -3.448
H: 5.086 6.891 -1.596
H: 4.579 5.216 -4.611
H: 6.711 3.665 -3.495
H: 6.690 5.517 -3.113
H: 5.788 2.100 -1.734
H: 7.505 2.724 -1.221
H: 4.825 1.483 -4.811
O: 2.617 -1.580 -2.418
C: 2.338 -0.798 -1.524
C: 2.065 -1.169 -0.098
C: 1.411 0.081 0.435
C: 2.030 1.163 -0.411
O: 2.273 0.557 -1.679
H: 3.013 -1.378 0.405
H: 1.395 -2.029 -0.036
H: 1.564 0.232 1.507
H: 0.331 0.038 0.250
H: 2.984 1.515 -0.003
H: 1.360 2.019 -0.533
O: -3.586 2.874 0.819
C: -2.873 2.888 -0.171
C: -3.207 2.263 -1.491
C: -1.865 2.237 -2.178
C: -1.161 3.423 -1.571
O: -1.664 3.519 -0.240
H: -3.921 2.902 -2.019
H: -3.610 1.256 -1.361
H: -1.929 2.286 -3.268
H: -1.334 1.315 -1.911
H: -1.388 4.355 -2.099
H: -0.076 3.284 -1.546
O: 0.227 -3.208 1.058
C: -0.882 -2.700 1.028
C: -2.093 -3.295 0.374
C: -3.025 -2.112 0.299
C: -2.604 -1.284 1.485
O: -1.204 -1.518 1.630
H: -2.492 -4.087 1.014
H: -1.854 -3.682 -0.619
H: -4.083 -2.386 0.319
H: -2.837 -1.555 -0.628
H: -3.107 -1.593 2.407
H: -2.785 -0.218 1.323
O: -3.931 -1.487 5.046
C: -3.232 -0.580 5.468
C: -1.737 -0.521 5.379
C: -1.404 0.566 6.370
C: -2.630 1.440 6.325
O: -3.715 0.554 6.055

Brief:
Restate the part of the calculation results further up that starts with the line with "3.789 5.471" and stops after the one with "1.014".

Outcome:
O: 3.789 5.471 -2.545
C: 4.560 4.698 -3.536
C: 6.095 4.507 -2.963
O: 5.964 4.307 -1.493
C: 6.350 2.935 -1.114
F: 6.006 2.666 0.331
P: 3.655 2.976 -3.657
O: 4.110 2.140 -5.129
Cl: 1.567 3.544 -3.714
H: 3.339 7.510 -2.036
H: 4.629 7.337 -3.448
H: 5.086 6.891 -1.596
H: 4.579 5.216 -4.611
H: 6.711 3.665 -3.495
H: 6.690 5.517 -3.113
H: 5.788 2.100 -1.734
H: 7.505 2.724 -1.221
H: 4.825 1.483 -4.811
O: 2.617 -1.580 -2.418
C: 2.338 -0.798 -1.524
C: 2.065 -1.169 -0.098
C: 1.411 0.081 0.435
C: 2.030 1.163 -0.411
O: 2.273 0.557 -1.679
H: 3.013 -1.378 0.405
H: 1.395 -2.029 -0.036
H: 1.564 0.232 1.507
H: 0.331 0.038 0.250
H: 2.984 1.515 -0.003
H: 1.360 2.019 -0.533
O: -3.586 2.874 0.819
C: -2.873 2.888 -0.171
C: -3.207 2.263 -1.491
C: -1.865 2.237 -2.178
C: -1.161 3.423 -1.571
O: -1.664 3.519 -0.240
H: -3.921 2.902 -2.019
H: -3.610 1.256 -1.361
H: -1.929 2.286 -3.268
H: -1.334 1.315 -1.911
H: -1.388 4.355 -2.099
H: -0.076 3.284 -1.546
O: 0.227 -3.208 1.058
C: -0.882 -2.700 1.028
C: -2.093 -3.295 0.374
C: -3.025 -2.112 0.299
C: -2.604 -1.284 1.485
O: -1.204 -1.518 1.630
H: -2.492 -4.087 1.014